DASA competition: Sample Preservation, Analysis, and Attribution
== Next to the page, the page also holds calculated molecules ==
/*
{
  "formula": "C18H30O11V",
  "method": "ωB97M-V/def2-TZVPD",
  "charge": 1,
  "spin_multiplicity": 3,
  "max_force_ev_per_a": 3.41,
  "homo_energy_ev": [-11.453, -10.834],
  "gap_ev": [8.679, 4.639],
  "symbols": ["O", "V", "C", "O", "H", "H", "H", "C", "O", "H", "H", "H", "O", "C", "O", "C", "C", "C", "H", "H", "H", "H", "H", "H", "O", "C", "O", "C", "C", "C", "H", "H", "H", "H", "H", "H", "O", "C", "O", "C", "C", "C", "H", "H", "H", "H", "H", "H", "O", "C", "O", "C", "C", "C", "H", "H", "H", "H", "H", "H"],
  "coordinates": [[0.2756, -2.4602, 0.3271], [-0.0688, -0.9877, 0.0507], [1.6458, -0.0482, -2.8456], [1.3771, -0.6576, -1.6242], [1.1898, 0.9342, -2.9677], [2.7196, 0.1105, -2.9446], [1.3687, -0.6196, -3.7315], [-3.3518, -1.8396, -1.2103], [-2.0439, -1.3678, -0.8731], [-3.8543, -2.2191, -0.3206], [-4.0974, -1.2655, -1.7604], [-3.3643, -2.8008, -1.7243], [1.6287, -0.5016, 1.4826], [2.4856, 0.3205, 1.8514], [3.3210, 0.8720, 0.9194], [4.1885, 1.8818, 1.3975], [3.5483, 2.3019, 2.7272], [2.6304, 1.0885, 3.1086], [4.1444, 2.6244, 0.6009], [5.1407, 1.3810, 1.5722], [3.0282, 3.2538, 2.6203], [4.3847, 2.2565, 3.4248], [1.6225, 1.3571, 3.4249], [3.0464, 0.5147, 3.9367], [-2.2022, -5.4856, -3.9743], [-1.0635, -5.1235, -3.6751], [0.0489, -5.8748, -3.9342], [1.1907, -5.2867, -3.3373], [0.7981, -3.8915, -2.8899], [-0.7273, -3.9477, -2.7691], [2.0265, -5.3264, -4.0359], [1.4638, -5.9112, -2.4867], [1.0984, -3.0978, -3.5740], [1.2212, -3.7536, -1.8949], [-1.1331, -3.0104, -3.1497], [-1.0262, -4.1214, -1.7354], [-0.2280, 1.2052, 0.2036], [-0.0241, 2.4091, -0.0728], [-0.9859, 3.2818, -0.3778], [-0.5730, 4.5746, -0.8037], [0.8839, 4.3072, -1.1842], [1.2916, 3.1243, -0.3174], [-0.5967, 5.2559, 0.0468], [-1.1413, 4.9014, -1.6745], [1.3780, 5.2469, -0.9373], [0.9352, 4.0861, -2.2503], [1.7730, 3.3547, 0.6330], [1.9459, 2.4699, -0.8933], [-1.0260, -0.6860, 2.0424], [-2.0524, -0.2569, 2.5733], [-2.5888, -0.7856, 3.6666], [-3.6868, -0.0001, 4.1821], [-3.5910, 1.3472, 3.4069], [-2.8580, 0.9825, 2.1228], [-3.6096, 0.0014, 5.2694], [-4.6375, -0.4720, 3.9338], [-2.9485, 1.9895, 4.0093], [-4.5327, 1.8953, 3.3777], [-2.2545, 1.8011, 1.7307], [-3.5335, 0.6678, 1.3273]],
*/
DASA (Defence & Security Accelerator) seeks proposals for sample preservation, analysis and attribution of hazardous chemical and biological materials.
Opportunity Details
Registration Opens
Registration Closes
The total possible funding available for this competition is £1 million (excluding VAT), DASA expects to fund 3-4 proposals. However, DASA reserves the right to fund one outstanding bid up to £1 million (excluding VAT) that demonstrates value for money, provides high quality supporting evidence to deliver on the competition focus.
This Defence and Security Accelerator (DASA) competition is seeking proposals that can address challenges associated with sample surface collection/preservation, analysis and attribution (SPAA) of hazardous chemical and biological (ChemBio) materials. New technology options or technical approaches could ultimately help both the successful identification of material and directly/indirectly aid in bringing perpetrators to justice. As well as addressing this diverse set of technical requirements, one of the goals of the “SPAA” is to engage with a non-traditional ChemBio supplier base in order to yield innovative solutions. Up to £1 million is available to fund multiple innovations at Technology Readiness level (TRL) 2-4 to deliver fieldable prototypes/software (TRL6+) to support investigations into CB incidents. This includes sample collection all the way through to the tools used for identification and attribution. We are expecting to fund 3 to 4 proposals.
There are three main challenge areas where innovative solutions and approaches are being sought, listed below.
This competition is jointly funded by the UK Ministry of Defence (MOD) and the US Department of Defence (DOD), and will operate under an extant memorandum of understanding between both nations. Both the MOD and DOD will have equal rights of access to information submitted under this competition.
DASA submissions are welcome from the private sector, academia, individuals (i.e. sole traders) and Public Sector Research Establishments (PSREs). DASA will examine the legal status of organisations prior to placement of any contract. In most cases there are no nationality restrictions, however DASA individual competition documents will detail any necessary restrictions.
The principal goal for this challenge is to enable the rapid classification of “unknown” hazardous substances in the case of not being able to detect or identify a specific ChemBio agent. In essence, these technologies will aid in the initial screening and triage of samples submitted to the laboratory for analysis (i.e. a key safety feature of any analytical laboratory). Crucially, in order to achieve this later requirement, technologies should screen for the presence of Chemical and/or Biological materials down to the lowest sensitivity levels. All technologies must meet the TRL6 requirement at the end of the 24 month contract.
We are looking for techniques or approaches that can achieve at least some of the elements of the following:
- provide additional information on ChemBio through the substances physical or biological/chemical properties aiding classification
• What comes next are molecular data, not part of the page:
********
No. 1
Computed, not measured: the molecule C5H10NO3P at a distorted geometry, with wB97M-V/def2-TZVPD.

Output
HOMO-LUMO gap (spin up / spin down) = 0.1849 / 0.2609 Eh
LUMO energy (spin up / spin down) = 0.769 / -2.861 eV
calculated total energy = -22263.5497 eV
relative energy (zero: lowest compared OMol25 entry of this formula, charge and spin) = 0.2300 eV

ORCA input file:
```
! RIJCOSX wB97M-V def2-TZVPD def2/J DEFGRID3
* xyz 0 3
C 1.816 0.332 -0.457
C 1.653 -1.239 -0.420
C 0.268 -1.666 -0.780
C -1.740 -0.073 1.057
C 0.397 2.356 -0.075
N 0.610 0.874 -0.355
O 2.841 0.915 -0.536
O -1.709 0.196 -1.562
O -0.954 2.579 0.221
P -0.830 -0.136 -0.423
H 2.345 -1.787 -1.031
H 1.949 -1.440 0.637
H 0.137 -1.871 -1.877
H 0.001 -2.625 -0.310
H -2.638 -0.641 0.788
H -1.291 -0.535 1.851
H -1.884 1.054 1.204
H 0.604 2.816 -1.131
H 1.091 2.443 0.751
H -1.314 2.294 -0.618
*
```

=====

No. 2
Computed, not measured: C5H12CuF4P as an isolated structure at a distorted geometry, with wB97M-V/def2-TZVPD.

Output
HOMO-LUMO gap (spin up / spin down) = 0.2207 / 0.1856 Eh
LUMO energy (spin up / spin down) = -6.265 / -6.943 eV
calculated total energy = -70164.3659 eV

ORCA input file:
```
! RIJCOSX wB97M-V def2-TZVPD def2/J DEFGRID3
* xyz 1 2
C -2.549 0.880 -0.138
P -0.678 0.801 -0.066
C 1.201 0.884 0.091
C 1.773 0.250 1.346
C 2.080 -1.226 1.230
F 2.857 -1.465 0.096
C -0.719 -0.973 -1.015
F 0.456 -1.449 -1.385
F -1.392 -1.912 -0.376
F -1.429 -0.796 -2.265
H -2.984 0.048 0.418
H -2.913 0.891 -1.166
H -2.861 1.809 0.338
H -0.756 0.102 1.261
H -0.693 2.123 0.727
H -0.588 1.541 -1.349
H 1.638 0.469 -0.820
H 1.419 1.954 0.071
H 1.053 0.350 2.175
H 2.669 0.786 1.661
H 2.659 -1.571 2.087
H 1.185 -1.845 1.141
Cu -1.426 -1.652 -4.062
*
```

=====

No. 3
Computed, not measured: C17H18AuN3O4SSe3Te as an isolated structure at a distorted geometry, with wB97M-V/def2-TZVPD.

Output
HOMO-LUMO gap (spin up / spin down) = 0.1571 / 0.1571 Eh
LUMO energy (spin up / spin down) = -3.157 / -3.162 eV
calculated total energy = -248440.9800 eV
relative energy (zero: lowest compared OMol25 entry of this formula, charge and spin) = 1.4046 eV

ORCA input file:
```
! RIJCOSX wB97M-V def2-TZVPD def2/J DEFGRID3
* xyz 0 1
Au 4.066 -1.134 -0.297
Se 6.581 -1.514 -0.609
Se 7.060 -1.019 1.559
Te 4.866 -1.818 2.589
Se 4.303 -0.021 4.035
C -5.169 1.392 -2.342
C -4.606 0.462 -1.303
C -3.471 0.816 -0.577
C -2.974 -0.010 0.417
C -3.615 -1.212 0.680
C -4.743 -1.588 -0.029
C -5.231 -0.750 -1.018
S -2.979 -2.284 1.950
O -2.359 -1.461 2.944
O -4.006 -3.220 2.295
N -1.777 -3.157 1.238
C -0.584 -2.459 0.767
C 0.638 -3.367 0.845
C 1.890 -2.650 0.398
O 3.014 -3.030 0.846
O 1.796 -1.688 -0.404
H -4.376 1.942 -2.848
H -5.829 2.121 -1.868
H -5.752 0.851 -3.086
H -2.972 1.755 -0.787
H -2.108 0.277 1.001
H -5.232 -2.523 0.211
H -6.115 -1.041 -1.573
H -2.135 -3.894 0.644
H -0.438 -1.608 1.431
H -0.701 -2.083 -0.252
H 0.512 -4.232 0.186
H 0.769 -3.742 1.858
N 4.602 3.191 0.128
C 5.011 1.902 0.122
N 4.094 1.098 -0.340
********
- either a single, a combination of orthogonal approaches, or an adjunct to existing commercial-off-the-shelf technology
- identification of target analytes (or biomarkers of exposure) through the analysis of environmental or biomedical samples
- work rapidly (i.e. provide a results in up to 60 minutes)
There are also two principal concepts of use for the approaches of interest here:
- these fieldable techniques should be operable by non-specialist users (deployed systems should be fast, light, mobile, ruggedized and simple to use)
- laboratory-based techniques operated by Suitably Qualified Experienced Personal (SQEP)
The goal of this challenge is to retrieve samples from an Operational setting (Overseas or Homeland) using a system(s) that preserves the properties of the materials collected. All technologies must meet the TRL6 requirement at the end of the 24 month contract.
Solutions should fulfil at least some of the following criteria:
- include a device that safely and appropriately contains and stores hazardous chemical and/or biological materials that can be transported easily back to the laboratory
- immediately self-stabilising for carriage upon sampling and/or are a “collection system” (i.e. materials/solutions that can added/mixed with a sample in order to maintain integrity during transport)
- technology should be compatible with chemical and/or biological material
- approaches that support biomedical and/or clinically-relevant samples are also of interest (e.g. maintaining the cellular composition/viability, genetic, proteomic material)
- easy to use (i.e. can be put in the hands of collectors with minimal specialist training)
- can be operated easily within PPE (e.g. chemical resistant butyl gloves, respirator)
- once fully developed the technology must be able to comply with International Transport Regulations (e.g. be safe for air travel)
- must stabilise materials for a defined timeframe (i.e. minimum 14 days; stretch target = 90 days)
- defined environmental conditions for stability studies (i.e. basic condition = ambient room temperature; stretch target = up to 50°C)
- materials to be stabilised without any form of cold chain storage requirement
- defined area of collection for performance assessment (i.e. Classic swabbing = 10 cm2)
- defined high efficiency collection (e.g. minimum acceptance might be greater than 30 – 50 % recovery from an agreed standardised surface; stretch target = greater than 90 %)
During the process of Test and Evaluation the innovation will be required to meet the performance criteria (outlined above and summarised in Table 1) and stabilise ChemBio hazards within Operationally-relevant sample matrices. To progress towards TRL6, it is anticipated that the innovation will stabilise at least two different biological organisms (i.e. Gram-positive, Gram-negative, virus, protein toxin or equivalent) and ideally with some testing being undertaken upon from Biosafety Level II and III organisms. Similarly, for the stabilisation of the reactions processes involving at least two classes of chemical. Testing involving chemical weapons (i.e. as covered by the Chemical Weapons Convention) is advantageous.
The goal of this challenge is to maximise the information and breadth of approaches that can be used to analyse a sample enabling its underlying properties to be determined. By acquiring this level of detail about a sample increases the opportunity for the perpetrators of the use of ChemBio materials to be identified during an investigation. All technologies must meet the TRL6 requirement at the end of the 24 month contract.
We are looking for techniques, technologies or approaches that enable attribution by:
- being able to determine the original or source (i.e. provenance)
- provide information on how the target of interest or agent was produced
- how it was stored and/or who made the material
- determine the target of interest or agent used based on other related analytes detected in the sample
- facilitate the potential for “batch matching” (e.g. linking samples collected from different sites or sources)
Dial-in session
19 March 2024 – A dial-in session providing further detail on the problem space and a chance to ask questions in an open forum. If you would like to participate, please register on the Eventbrite page.
26 March 2024 – A series of 20 minute one-to-one teleconference sessions, giving you the opportunity to ask specific questions. If you would like to participate, please register on the Eventbrite page. Booking is on a first come first served basis.
Submission deadline
12:00 Midday on Tuesday 30 April 2024 (BST)
If you would like additional advice or help, contact Hazel Biggs, KTM for Defence & Security.